## Excerpt
- - -
#1
Entry from the OMol25 dataset: a single C8H8N2S2 molecule (wB97M-V/def2-TZVPD).

Each line ends with the natural charge from an NBO analysis.
Element x y z (Å)
S  -3.39  0.42  -1.29  -0.02
C  -2.07  0.05  -0.02  -0.16
S  -2.77  0.08  1.75  -0.07
C  -1.48  -1.73  -0.20  0.20
N  -0.26  -1.86  -0.22  -0.40
C  0.72  -0.81  -0.12  0.05
C  2.06  -1.25  0.10  -0.17
C  3.06  -0.33  0.16  -0.23
C  2.78  1.04  -0.14  -0.18
C  1.49  1.44  -0.15  -0.23
C  0.38  0.53  -0.17  0.18
N  -0.95  0.94  -0.25  -0.65
H  -3.76  -0.86  -1.46  0.12
H  -3.01  1.41  1.88  0.12
H  -2.33  -2.40  -0.17  0.20
H  2.13  -2.24  0.20  0.22
H  4.03  -0.54  0.33  0.21
H  3.46  1.87  -0.14  0.22
H  1.14  2.42  -0.23  0.20
H  -1.23  1.82  0.12  0.39

The calculation puts the HOMO energy at -8.20 eV. Its net charge is 0. The orbital gap is 8.6 eV.

***

#2
Entry from the OMol25 dataset: 2 unconnected molecules or ions with the total composition C8H8N2S2 (wB97M-V/def2-TZVPD).

Each line ends with the natural charge from an NBO analysis.
Element x y z (Å)
C  -0.13  -2.55  -2.00  -0.19
C  -0.01  -2.80  -0.66  -0.20
C  0.24  -1.82  0.27  -0.16
C  0.34  -0.50  -0.16  -0.10
C  0.63  0.55  0.79  0.06
N  0.41  0.39  2.06  -0.27
N  0.60  1.50  2.75  -0.24
C  1.04  2.49  2.10  -0.13
S  1.17  2.15  0.34  0.32
C  0.41  -0.27  -1.54  -0.19
C  0.17  -1.25  -2.41  -0.20
H  -0.39  -3.37  -2.62  0.22
H  0.02  -3.76  -0.26  0.21
H  0.31  -1.98  1.28  0.23
H  1.08  3.49  2.47  0.23
H  0.70  0.81  -1.85  0.21
H  0.41  -0.98  -3.47  0.22
S  -2.26  2.56  0.37  -0.27
H  -1.47  2.65  1.52  0.15
H  -3.29  2.69  1.04  0.11

The calculation puts the HOMO energy at -9.12 eV. Its net charge is 0. The orbital gap is 9.0 eV.

***

Of them, #1 has the lowest stability.

***

#1
Entry from the OMol25 dataset: a single C4H3NS molecule (wB97M-V/def2-TZVPD).

Each line ends with the natural charge from an NBO analysis.
Element x y z (Å)
C  -0.38  0.70  -1.13  -0.73
C  0.35  0.00  -0.17  0.23
C  0.78  -1.20  -0.10  -0.26
C  0.51  -1.84  1.11  -0.17
S  0.58  -0.84  2.53  0.86
N  0.09  0.43  1.91  -0.70
H  -1.39  0.70  -0.88  0.27
H  -0.29  0.23  -2.18  0.26
H  -0.25  1.83  -1.09  0.24

The calculation puts the HOMO energy (spin up / spin down) at -8.78 / -8.78 eV. Its net charge is 0. The orbital gap (spin up / spin down) is 7.2 / 7.2 eV.

***

#2
Entry from the OMol25 dataset: a single C4H3NS molecule (wB97M-V/def2-TZVPD).

Each line ends with the natural charge from an NBO analysis.
Element x y z (Å)
C  -1.01  -0.89  -0.01  -0.23
C  -0.11  0.10  0.00  -0.22
C  -0.56  1.47  0.00  0.26
N  -0.96  2.56  0.00  -0.27
C  1.34  -0.20  0.01  -0.30
S  2.52  0.90  0.00  0.13
H  -0.70  -1.93  -0.04  0.21
H  -2.08  -0.73  0.04  0.22
H  1.55  -1.26  0.02  0.20

The calculation puts the HOMO energy at -9.35 eV. Its net charge is 0. The orbital gap is 8.0 eV.

***

Of them, #1 has the lowest stability.

***

#1
Entry from the OMol25 dataset: a single C8H12N2O7 molecule (wB97M-V/def2-TZVPD).

Each line ends with the natural charge from an NBO analysis.
Element x y z (Å)
N  -2.54  -1.57  -1.12  -0.91
C  -1.37  -1.94  -0.21  -0.11
C  -0.39  -2.86  -0.99  -0.54
C  -0.30  -4.15  -0.24  0.80
O  -0.86  -4.31  0.81  -0.58
O  0.53  -5.08  -0.80  -0.69
C  -0.87  -0.49  0.25  0.69
O  -0.67  -0.37  1.42  -0.59
N  -0.74  0.44  -0.72  -0.64
C  0.08  1.57  -0.52  -0.14
C  -0.46  2.52  0.71  -0.50
C  0.25  3.99  0.79  0.81
O  0.45  4.80  -0.07  -0.57
O  0.88  4.07  2.06  -0.74
C  1.55  1.17  -0.43  0.79
O  2.02  0.08  -0.74  -0.59
O  2.33  2.25  -0.18  -0.68
H  -3.06  -2.30  -1.68  0.39
H  -3.15  -0.84  -0.73  0.38
H  -1.63  -2.36  0.73  0.23
H  -0.89  -3.05  -1.94  0.24
H  0.56  -2.40  -1.12  0.27
H  0.87  -5.62  -0.05  0.50
H  -1.19  0.22  -1.61  0.44
H  0.05  2.15  -1.34  0.24
H  -1.53  2.75  0.59  0.24
H  -0.15  2.21  1.73  0.27
H  1.48  4.86  2.15  0.50
H  3.23  1.86  -0.06  0.50

The calculation puts the HOMO energy at -9.36 eV. Its net charge is 0. The orbital gap is 9.9 eV.

***

#2
- - -
## Brief
Now type out the lines further up up to the one that holds "-9.36 eV.", that line included.
## Response
#1
Entry from the OMol25 dataset: a single C8H8N2S2 molecule (wB97M-V/def2-TZVPD).

Each line ends with the natural charge from an NBO analysis.
Element x y z (Å)
S  -3.39  0.42  -1.29  -0.02
C  -2.07  0.05  -0.02  -0.16
S  -2.77  0.08  1.75  -0.07
C  -1.48  -1.73  -0.20  0.20
N  -0.26  -1.86  -0.22  -0.40
C  0.72  -0.81  -0.12  0.05
C  2.06  -1.25  0.10  -0.17
C  3.06  -0.33  0.16  -0.23
C  2.78  1.04  -0.14  -0.18
C  1.49  1.44  -0.15  -0.23
C  0.38  0.53  -0.17  0.18
N  -0.95  0.94  -0.25  -0.65
H  -3.76  -0.86  -1.46  0.12
H  -3.01  1.41  1.88  0.12
H  -2.33  -2.40  -0.17  0.20
H  2.13  -2.24  0.20  0.22
H  4.03  -0.54  0.33  0.21
H  3.46  1.87  -0.14  0.22
H  1.14  2.42  -0.23  0.20
H  -1.23  1.82  0.12  0.39

The calculation puts the HOMO energy at -8.20 eV. Its net charge is 0. The orbital gap is 8.6 eV.

***

#2
Entry from the OMol25 dataset: 2 unconnected molecules or ions with the total composition C8H8N2S2 (wB97M-V/def2-TZVPD).

Each line ends with the natural charge from an NBO analysis.
Element x y z (Å)
C  -0.13  -2.55  -2.00  -0.19
C  -0.01  -2.80  -0.66  -0.20
C  0.24  -1.82  0.27  -0.16
C  0.34  -0.50  -0.16  -0.10
C  0.63  0.55  0.79  0.06
N  0.41  0.39  2.06  -0.27
N  0.60  1.50  2.75  -0.24
C  1.04  2.49  2.10  -0.13
S  1.17  2.15  0.34  0.32
C  0.41  -0.27  -1.54  -0.19
C  0.17  -1.25  -2.41  -0.20
H  -0.39  -3.37  -2.62  0.22
H  0.02  -3.76  -0.26  0.21
H  0.31  -1.98  1.28  0.23
H  1.08  3.49  2.47  0.23
H  0.70  0.81  -1.85  0.21
H  0.41  -0.98  -3.47  0.22
S  -2.26  2.56  0.37  -0.27
H  -1.47  2.65  1.52  0.15
H  -3.29  2.69  1.04  0.11

The calculation puts the HOMO energy at -9.12 eV. Its net charge is 0. The orbital gap is 9.0 eV.

***

Of them, #1 has the lowest stability.

***

#1
Entry from the OMol25 dataset: a single C4H3NS molecule (wB97M-V/def2-TZVPD).

Each line ends with the natural charge from an NBO analysis.
Element x y z (Å)
C  -0.38  0.70  -1.13  -0.73
C  0.35  0.00  -0.17  0.23
C  0.78  -1.20  -0.10  -0.26
C  0.51  -1.84  1.11  -0.17
S  0.58  -0.84  2.53  0.86
N  0.09  0.43  1.91  -0.70
H  -1.39  0.70  -0.88  0.27
H  -0.29  0.23  -2.18  0.26
H  -0.25  1.83  -1.09  0.24

The calculation puts the HOMO energy (spin up / spin down) at -8.78 / -8.78 eV. Its net charge is 0. The orbital gap (spin up / spin down) is 7.2 / 7.2 eV.

***

#2
Entry from the OMol25 dataset: a single C4H3NS molecule (wB97M-V/def2-TZVPD).

Each line ends with the natural charge from an NBO analysis.
Element x y z (Å)
C  -1.01  -0.89  -0.01  -0.23
C  -0.11  0.10  0.00  -0.22
C  -0.56  1.47  0.00  0.26
N  -0.96  2.56  0.00  -0.27
C  1.34  -0.20  0.01  -0.30
S  2.52  0.90  0.00  0.13
H  -0.70  -1.93  -0.04  0.21
H  -2.08  -0.73  0.04  0.22
H  1.55  -1.26  0.02  0.20

The calculation puts the HOMO energy at -9.35 eV. Its net charge is 0. The orbital gap is 8.0 eV.

***

Of them, #1 has the lowest stability.

***

#1
Entry from the OMol25 dataset: a single C8H12N2O7 molecule (wB97M-V/def2-TZVPD).

Each line ends with the natural charge from an NBO analysis.
Element x y z (Å)
N  -2.54  -1.57  -1.12  -0.91
C  -1.37  -1.94  -0.21  -0.11
C  -0.39  -2.86  -0.99  -0.54
C  -0.30  -4.15  -0.24  0.80
O  -0.86  -4.31  0.81  -0.58
O  0.53  -5.08  -0.80  -0.69
C  -0.87  -0.49  0.25  0.69
O  -0.67  -0.37  1.42  -0.59
N  -0.74  0.44  -0.72  -0.64
C  0.08  1.57  -0.52  -0.14
C  -0.46  2.52  0.71  -0.50
C  0.25  3.99  0.79  0.81
O  0.45  4.80  -0.07  -0.57
O  0.88  4.07  2.06  -0.74
C  1.55  1.17  -0.43  0.79
O  2.02  0.08  -0.74  -0.59
O  2.33  2.25  -0.18  -0.68
H  -3.06  -2.30  -1.68  0.39
H  -3.15  -0.84  -0.73  0.38
H  -1.63  -2.36  0.73  0.23
H  -0.89  -3.05  -1.94  0.24
H  0.56  -2.40  -1.12  0.27
H  0.87  -5.62  -0.05  0.50
H  -1.19  0.22  -1.61  0.44
H  0.05  2.15  -1.34  0.24
H  -1.53  2.75  0.59  0.24
H  -0.15  2.21  1.73  0.27
H  1.48  4.86  2.15  0.50
H  3.23  1.86  -0.06  0.50

The calculation puts the HOMO energy at -9.36 eV. Its net charge is 0. The orbital gap is 9.9 eV.